I’m friends with one guy who’s got an axolotl and another who’s got one of those African grey parrots. Both really cool animals. Also knew a kid back in school that had a pet squirrel.
I’m friends with one guy who’s got an axolotl and another who’s got one of those African grey parrots. Both really cool animals. Also knew a kid back in school that had a pet squirrel.
A lot of people are pretty pissed at the dems for not doing enough too. They’re so obsessed with being a party for everyone that they’ve become a party for no one, theres a huge divide between what people want and what they’re doing. They need to unify, organize and take some stances even if it pisses some people off. I think a lot of people are just demoralized and “politically homeless” as in they just don’t identify with either party so what is the point? What would be cool is if a bunch of randoms ran third party on their own ideas and formed a coalition but good luck with that
the one with the potatoes
We burned down the white house at some point I think.
I would fully expect to get made fun of if I said something funny by accident in a different language. I’ve had that happen when I tried speaking Thai in thailand and spanish in south america and you know what? It is funny! They explain why its funny and everyone has a good laugh and I learned something! Thats how I found out the double meaning of caliente! Languages are hard and sometimes the mistakes happen to be hilarious, its not punching down. I probably sound ridiculous to a native speaker but at least I know that and I’m making an effort.
thats pretty neat actually then you can fly while you eat or text or play with a rubix cube
I’m working on a 2.5 year degree to upgrade my credentials while working part time and i’ve been on autopilot/pause the entire time. I can’t remember the last time I did something because I wanted to do it and not because i had to or it was in my schedule. Oh well I’m almost done, my remedy will be a nice vacation and having evenings and weekends back.
Google thinks I’m spanish when I search enterobacterales.
I gained an appreciation for how precise/sharp our tools are when I learned microtomy. If you so much as touch the cutting edge with anything outside of its intended use it messes up that area of the blade instantly. Same goes for a nice pair of chef’s knives.
Ya its a decent start. My point here is the scale of what we’re facing. Its going to take trillions of dollars, synchronous action taken by many nations simultaneously and a complete restructuring of the current world order. There’s always hope but at this point i’m fairly cynical and don’t have a lot of faith that the right people are in charge to even start the conversation.
solar panels or something? No one is stopping climate change with $10K, I don’t even think $10B would make a substantial dent.
Thanks for the explainer that was taking me a long time too lol
┌──
7
Properties=species:S:1:pos:R:3 method="wB97M-V/def2-TZVPD" multiplicity=1 gap_ev=9.24
C -0.584 -0.275 0.427
H -0.751 -0.896 1.281
H 0.085 0.627 0.632
H 2.196 1.027 -0.782
Cl -2.180 0.320 -0.192
Cl 0.208 -1.366 -0.679
Cl 1.027 0.564 -0.687

---

8
Properties=species:S:1:pos:R:3 method="wB97M-V/def2-TZVPD" multiplicity=1 gap_ev=8.02
C -0.648 1.884 -0.622
Si -0.805 0.376 0.629
Cl -1.619 3.255 -0.039
Cl -1.288 1.317 -2.199
Cl 1.275 -4.709 1.639
H 0.345 2.291 -0.833
H 2.074 -4.591 0.650
H 0.666 0.177 0.776

---

8
Properties=species:S:1:pos:R:3 method="wB97M-V/def2-TZVPD" multiplicity=1 gap_ev=11.08
Cl -1.981 -1.093 -0.531
Si -0.543 -0.428 0.731
C 1.018 -0.912 -0.304
Cl 1.743 -2.406 0.326
Cl 2.125 0.436 -0.367
H -0.832 -0.952 2.154
H -0.279 1.087 0.575
H 0.905 -1.110 -1.427

---

8
Properties=species:S:1:pos:R:3 method="wB97M-V/def2-TZVPD" multiplicity=1 gap_ev="7.42 / 7.43"
C -0.441 0.840 0.046
N 0.058 -1.894 0.579
F -0.297 2.089 0.299
S 0.681 -0.032 1.050
Cl 2.576 0.327 -0.145
H -1.470 0.573 0.331
H -0.263 0.871 -1.111
H 0.630 -2.520 1.128

---

7
Properties=species:S:1:pos:R:3 method="wB97M-V/def2-TZVPD" multiplicity=1 gap_ev=10.09
C 1.705 0.385 -0.021
P 0.099 0.347 0.131
F -0.293 -1.232 0.600
H 2.334 -0.385 0.508
H 2.275 1.087 -0.505
Cl -3.693 -0.147 -0.066
H -2.426 -0.054 -0.647

---

8
Properties=species:S:1:pos:R:3 method="wB97M-V/def2-TZVPD" multiplicity=3 s_squared=2.01 gap_ev="6.37 / 7.24"
C 1.331 0.205 -0.667
Si -0.916 -0.293 0.843
Cl 0.898 1.692 -1.486
I -1.967 -2.384 0.013
I -2.268 1.703 0.473
H 1.115 -0.608 -1.428
H 2.081 0.430 0.033
H -0.273 -0.744 2.219

---

7
Properties=species:S:1:pos:R:3 method="wB97M-V/def2-TZVPD" multiplicity=1 gap_ev=10.33
C 1.099 -0.897 -0.938
N 0.257 -0.001 -0.864
Cl -0.664 0.337 -2.396
H 1.508 -1.347 -1.913
H 1.558 -1.313 -0.087
I -1.315 2.135 3.387
H -2.444 1.086 2.811

---

7
Properties=species:S:1:pos:R:3 method="wB97M-V/def2-TZVPD" multiplicity=1 gap_ev=10.91
Cl 0.949 1.733 -0.552
C 0.040 0.445 0.223
N 0.392 -0.848 0.105
N -0.847 -0.471 -0.627
H -0.178 0.710 1.286
H 1.330 -0.916 -0.346
H -1.686 -0.653 -0.089

---

9
Properties=species:S:1:pos:R:3 method="wB97M-V/def2-TZVPD" multiplicity=1 gap_ev="8.43 / 8.53"
C -1.686 -0.659 0.205
N 1.464 0.247 -0.693
N 1.113 0.339 0.683
O -1.827 -1.764 0.566
O -0.106 0.710 0.888
Cl -2.873 0.336 -0.676
H 0.717 -0.088 -1.167
H 1.617 1.189 -1.093
H 1.579 -0.311 1.287

---

9
Properties=species:S:1:pos:R:3 method="wB97M-V/def2-TZVPD" multiplicity=1 gap_ev=10.26
O -0.042 -0.310 -1.768
N -0.233 -0.901 -0.714
O -0.296 -2.090 -0.449
C -0.438 -0.049 0.515
N 0.435 1.283 0.574
Cl 2.104 0.696 0.348
H -0.186 -0.678 1.274
H -1.469 0.225 0.482
H 0.127 1.824 -0.263

---

9
Properties=species:S:1:pos:R:3 method="wB97M-V/def2-TZVPD" multiplicity=1 gap_ev=9.05
C -0.353 0.700 0.816
N 0.307 0.117 -0.288
Cl 2.236 -0.276 0.309
N -0.149 -0.849 -1.135
O -1.332 -0.841 -1.164
O 0.630 -1.422 -1.807
H -1.238 1.024 0.475
H -0.172 -0.053 1.668
└──
farm to table wifi
1.
37
Properties=species:S:1:pos:R:3 method="wB97M-V/def2-TZVPD" spin_multiplicity=5 e_homo_ev="-11.2 / -12.1" s_squared=6.03 total_charge=+1
Rh 0.533 -0.409 0.281
S 0.701 0.109 -2.050
S -1.679 0.749 0.116
O 0.062 -3.128 -0.688
N 1.362 1.652 1.167
N 2.733 -1.357 0.731
N 0.691 -0.642 2.674
N -6.070 0.942 -4.043
N -3.113 0.105 -6.789
C 3.078 -1.231 2.152
C -3.622 0.655 -3.351
C -0.200 -2.289 0.045
C 1.849 -1.465 3.042
C -4.972 0.815 -3.752
C -2.906 0.218 -5.668
C 0.596 0.684 3.291
C -0.956 0.308 -2.516
C -2.608 0.351 -4.290
C 1.536 1.693 2.624
C -3.289 0.796 -2.013
C -1.976 0.604 -1.574
C -1.292 0.192 -3.865
H 3.848 -1.954 2.448
H -4.054 1.036 -1.290
H -0.435 1.026 3.165
H 0.628 2.303 0.889
H 2.571 1.458 2.873
H 2.217 1.937 0.695
H 3.452 -0.930 0.153
H 3.485 -0.234 2.314
H 0.817 0.645 4.366
H 2.690 -2.341 0.471
H 1.317 2.687 3.027
H -0.520 -0.033 -4.587
H -0.155 -1.152 2.925
H 1.547 -2.509 2.937
H 2.134 -1.293 4.088



2.
10
Properties=species:S:1:pos:R:3 method="wB97M-V/def2-TZVPD" e_homo_ev=-8.7 smiles="N=C=CC=O.N#N"
O -1.569 -0.651 1.545
N -0.538 0.797 -1.859
N 2.264 -0.030 0.691
N -1.418 1.403 -1.518
C 0.049 -0.550 -0.411
C 1.241 -0.255 0.056
C -1.310 -0.077 0.536
H -0.043 -1.473 -0.985
H -1.770 0.885 -0.199
H 3.059 0.390 0.219



3.
34
Properties=species:S:1:pos:R:3 method="wB97M-V/def2-TZVPD" e_homo_ev=-11.3 total_charge=+1
F 14.022 -20.384 -24.848
F 13.608 -21.214 -26.816
F 15.354 -21.901 -25.747
O 14.920 -18.378 -26.849
O 16.710 -19.534 -26.370
O 16.514 -15.784 -25.547
O 18.263 -15.062 -24.454
O 17.927 -17.237 -24.836
N 15.890 -18.841 -22.942
C 14.604 -18.802 -20.890
C 14.982 -18.019 -23.482
C 13.642 -18.016 -21.495
C 13.792 -17.660 -22.836
C 15.435 -19.736 -26.782
C 13.503 -18.130 -26.670
C 17.518 -16.021 -24.845
C 14.645 -20.771 -25.988
C 13.257 -16.658 -26.840
C 15.658 -19.213 -21.675
Li 16.692 -13.717 -25.258
Li 19.569 -16.291 -23.680
Li 17.388 -19.137 -24.426
Li 16.757 -17.283 -26.883
H 13.805 -16.069 -26.100
H 12.771 -17.704 -20.934
H 13.183 -18.376 -25.653
H 15.467 -20.082 -27.821
H 15.174 -17.641 -24.478
H 13.130 -16.992 -23.367
H 16.478 -19.735 -21.193
H 14.568 -18.988 -19.827
H 12.185 -16.490 -26.731
H 13.601 -16.262 -27.798
H 12.949 -18.823 -27.303



4.
51
Properties=species:S:1:pos:R:3 method="wB97M-V/def2-TZVPD" e_homo_ev=-11.5 total_charge=+1
F 1.934 2.070 -3.009
F 2.806 1.003 3.466
F 1.851 -1.062 3.853
F 2.609 3.206 -1.050
F 0.448 3.393 -1.813
O -3.968 1.546 7.773
O 0.157 -1.473 -5.230
N 0.516 0.931 4.284
N -2.410 -0.192 6.663
C -3.232 0.650 7.282
C 0.371 -1.081 1.263
C -2.682 0.994 4.330
C 1.506 1.299 0.761
C 1.470 -2.003 -5.369
C 1.125 1.188 -0.755
C -0.676 -1.533 -6.383
C 0.373 -0.085 -1.336
C -1.730 0.631 5.607
C 1.548 2.452 -1.689
C 1.538 0.287 3.397
C -0.401 -0.076 4.983
C 2.309 -1.270 -6.400
C 1.142 0.188 1.851
C -0.269 2.051 3.640
C 0.010 -1.214 -0.281
C -0.957 -2.951 -6.848
C -1.720 1.507 3.128
H -1.623 -1.063 -6.103
H 0.303 2.634 2.836
H 0.043 -1.957 1.925
H -3.152 -0.023 4.010
H -0.632 -0.995 4.337
Here the entry continues >
red right returning for boats/buoys
citadel, mass effect
a dude playing a dude dressed up as a dude disguised as another dude!
== The article is interrupted by data records ==
+++
Record 1
Molecular formula: C14H28O28S7
Method: DFT, ωB97M-V with the def2-TZVPD basis set

Structure (XYZ):
```
77
Properties=species:S:1:pos:R:3:lowdin_charge:R:1
C 5.425 -2.504 -9.581 -0.136
C 6.328 -3.187 -8.580 -0.160
O 7.258 -3.910 -9.384 -0.183
S 7.579 -3.072 -10.720 0.592
O 7.547 -3.951 -11.822 -0.211
O 8.723 -2.273 -10.472 -0.205
O 6.300 -2.148 -10.657 -0.198
H 5.018 -1.596 -9.138 0.136
H 4.629 -3.129 -9.981 0.128
H 5.772 -3.832 -7.900 0.126
H 6.874 -2.516 -7.917 0.100
C 3.964 -0.756 -4.373 -0.141
C 2.771 -0.736 -5.308 -0.172
O 2.112 -1.984 -5.070 -0.175
S 3.263 -3.083 -5.000 0.585
O 3.726 -3.407 -6.304 -0.229
O 2.834 -4.091 -4.123 -0.193
O 4.368 -2.139 -4.343 -0.184
H 3.804 -0.433 -3.348 0.134
H 4.759 -0.170 -4.836 0.133
H 3.092 -0.696 -6.352 0.126
H 2.097 0.101 -5.145 0.138
C 10.466 -3.232 -17.392 -0.118
C 10.928 -1.801 -17.090 -0.155
O 10.428 -1.521 -15.780 -0.175
S 8.969 -2.149 -15.637 0.561
O 7.993 -1.266 -16.150 -0.207
O 8.815 -2.675 -14.339 -0.194
O 9.224 -3.317 -16.663 -0.214
H 11.147 -3.996 -17.032 0.124
H 10.199 -3.341 -18.439 0.137
H 10.592 -1.062 -17.818 0.131
H 12.012 -1.729 -17.023 0.135
C 9.254 -5.729 -13.382 -0.160
C 9.150 -7.244 -13.367 -0.160
O 9.025 -7.545 -14.762 -0.177
S 10.163 -6.706 -15.499 0.573
O 9.647 -6.328 -16.760 -0.218
O 11.409 -7.331 -15.339 -0.199
O 10.143 -5.479 -14.483 -0.191
H 9.739 -5.346 -12.487 0.118
H 8.300 -5.229 -13.534 0.101
H 8.262 -7.570 -12.831 0.138
H 10.034 -7.712 -12.930 0.134
C 9.882 -6.089 -8.233 -0.134
C 9.714 -6.397 -9.709 -0.179
O 10.899 -5.800 -10.243 -0.194
S 12.126 -6.245 -9.323 0.580
O 12.975 -5.141 -9.146 -0.199
O 12.639 -7.484 -9.765 -0.212
O 11.249 -6.503 -8.010 -0.186
H 9.248 -6.669 -7.570 0.138
H 9.785 -5.020 -8.041 0.131
H 8.857 -5.957 -10.214 0.113
H 9.611 -7.480 -9.832 0.137
C 4.354 -4.103 -16.059 -0.128
C 5.878 -3.989 -15.822 -0.154
O 6.029 -3.779 -14.422 -0.199
S 4.789 -2.947 -13.883 0.564
O 4.967 -1.587 -14.221 -0.198
O 4.454 -3.268 -12.565 -0.197
O 3.742 -3.621 -14.857 -0.185
H 4.022 -5.120 -16.248 0.128
H 3.989 -3.457 -16.857 0.131
H 6.344 -3.247 -16.467 0.113
H 6.326 -4.956 -16.050 0.136
C 9.278 0.685 -9.083 -0.128
C 7.749 0.644 -8.871 -0.128
O 7.545 -0.069 -7.637 -0.207
S 8.925 -0.602 -7.018 0.569
O 9.152 -1.933 -7.438 -0.216
O 8.952 -0.362 -5.624 -0.208
O 9.824 0.430 -7.779 -0.170
H 9.655 1.669 -9.343 0.133
H 9.591 -0.032 -9.838 0.116
H 7.301 0.018 -9.643 0.110
H 7.268 1.617 -8.869 0.130
```

Properties
E: -148142.3746 eV
E_LUMO: 0.12 eV
Kohn-Sham gap: 11.2 eV

=====

Record 2
Molecular formula: C14H28O3S
Method: DFT, ωB97M-V with the def2-TZVPD basis set

Structure (XYZ):
```
46
Properties=species:S:1:pos:R:3:nbo_charge:R:1
C -4.202 0.310 -2.028 -0.611
C -2.855 -0.204 -2.581 -0.399
C -2.439 -1.550 -1.979 -0.384
C -1.513 -1.402 -0.748 -0.398
C -1.713 -2.567 0.209 -0.389
C -0.635 -2.694 1.267 -0.391
C -0.646 -1.561 2.307 -0.404
C 0.593 -0.647 2.187 -0.389
C 0.281 0.810 2.466 -0.391
C 1.410 1.768 2.068 -0.386
C 1.791 1.657 0.578 -0.263
C 3.144 0.930 0.441 -0.442
+++
== End of the data records ==
Final boss in sekiro be like:
bout tree fiddy